ASC 14/39

University of Glasgow

Academic Standards Committee - Friday 14 November 2014

Proposed Amendments to the Programme Approval Procedure at The Glasgow School of Art

Cover Sheet

Mrs Jackie McCluskey, Academic Collaborations Office

Molecular formula: C6H8S
Method: DFT, wB97M-V/def2-TZVPD

The relative energy (zero: lowest compared OMol25 entry of this formula, charge and spin) comes out at 194.9 kJ/mol. The LUMO energy is 0.92 eV. Its HOMO energy is -8.98 eV. As for the total energy: -17184.4511 eV.

Each line ends with the natural charge from an NBO analysis.
Cartesian coordinates (Å):
C -0.3209 0.6752 -0.1072  -0.203
C 1.1089 0.3963 0.0803  -0.382
C 0.6834 -1.0801 -0.1527  -0.254
C -0.3378 -0.4259 -1.2149  -0.353
C -0.2574 -1.2238 1.0167  -0.208
C -0.9610 -0.0810 0.9927  -0.217
H -0.3773 2.8971 0.4104  0.122
H 1.6451 0.5757 1.0093  0.210
H 1.7455 0.8092 -0.7269  0.209
H 1.3477 -1.8848 -0.4432  0.220
H 0.1186 -0.0975 -2.1139  0.201
H -1.2444 -1.0159 -1.3914  0.210
H -0.4621 -2.1395 1.5976  0.226
H -1.7575 0.2913 1.7032  0.238
S -0.9308 2.3037 -0.6598  -0.020

=====

Molecular formula: C6H8S
Method: DFT, wB97M-V/def2-TZVPD

The relative energy (zero: lowest compared OMol25 entry of this formula, charge and spin) comes out at 728.9 kJ/mol. The LUMO energy (spin up / spin down) is -3.16 / -2.77 eV. Its HOMO energy (spin up / spin down) is -7.29 / -7.47 eV. As for the total energy: -17178.9165 eV.

Each line ends with the natural charge from an NBO analysis.
Cartesian coordinates (Å):
C 1.8740 1.6979 0.4301  -0.550
C 2.9086 1.9080 -0.2225  -0.199
C 0.9581 1.2156 1.5074  -0.474
C -0.4940 1.3768 0.9664  -0.557
C 0.0023 -0.8000 -0.6795  -0.072
C 0.0830 -2.2509 -1.0566  -0.760
S -1.2749 -0.0905 0.3838  0.534
H 1.1175 0.2122 1.9832  0.214
H 1.0826 2.0118 2.3507  0.242
H -1.1295 1.5534 1.8175  0.235
H -0.7291 2.1585 0.2288  0.269
H 0.9472 -0.2220 -0.4821  0.293
H -0.5191 -2.5966 -2.0106  0.285
H -0.4262 -2.9252 -0.3372  0.265
H 1.0489 -2.7854 -1.2358  0.276

=====

Molecular formula: C6H9B3BeF12N3
Method: DFT, wB97M-V/def2-TZVPD

The relative energy (zero: lowest compared OMol25 entry of this formula, charge and spin) comes out at 0.0 kJ/mol. The LUMO energy is 1.75 eV. Its HOMO energy is -7.83 eV. As for the total energy: -45898.3475 eV. The charge is -1.

Each line ends with the natural charge from an NBO analysis.
Cartesian coordinates (Å):
Be 31.9028 5.5067 -16.1881  1.673
B 33.0472 3.3448 -14.5893  1.342
F 32.0339 3.1463 -15.5154  -0.561
F 33.7374 4.5628 -14.8987  -0.567
F 32.4185 3.6088 -13.3345  -0.595
F 33.9074 2.2793 -14.5380  -0.536
B 34.5277 3.3014 -17.9403  1.354
F 34.6951 3.3730 -19.3261  -0.575
F 35.7685 3.1626 -17.3116  -0.573
F 33.9038 4.5124 -17.4965  -0.596
F 33.7042 2.2169 -17.5721  -0.579
B 30.6109 7.4905 -18.0025  1.339
F 29.4257 7.2523 -18.7115  -0.566
F 30.3424 7.3570 -16.6104  -0.579
F 31.5876 6.5425 -18.3085  -0.560
F 31.0524 8.7752 -18.2926  -0.562
C 29.6263 2.1135 -18.7612  -0.726
C 30.1007 3.2239 -17.9655  0.413
N 30.5175 4.1164 -17.3928  -0.425
H 29.0098 2.4571 -19.5920  0.255
H 29.0383 1.4159 -18.1678  0.250
H 30.4472 1.5627 -19.2188  0.279
C 35.8218 8.5744 -16.5519  -0.716
C 34.7173 7.6268 -16.6670  0.369
N 33.8432 6.8991 -16.7655  -0.376

Brief description of the paper 

The paper outlines a proposal from GSA for changes to the current programme approval process. GSA is proposing to streamline the process and thus allow them to respond in a timely way to market demands.

The main change being proposed is that the process should be completed over the equivalent of one academic session. Currently, and in line with the University’s Code of Practice for Validated Provision, the process involves the submission of a Statement of Intent to Academic Standards Committee in one academic session, followed by the full proposal in the following session following due process at GSA. Deviations from the Code of Practice for Validated Provision are possible, particularly in the case of our validated institution with ‘Accredited’ status (such as GSA) subject to consideration by ASC.

Currently UoG staff are invited to join a validation panel (one representative where the proposed programme is GSA’s; and two representatives for joint programmes with UoG). Under the new process, UoG would continue to be represented on the Programme Approval Group and GSA’s Academic Council. Similarly, the Programme Approval Group would continue to have both student and external representation.

The timescales outlined in the paper are indicative and illustrate the process within one academic session. However, it is possible that the process could start at GSA at different points in the academic year and span two sessions. For example, one scenario might be a proposal being considered by the GSA Executive in May, with submission to ASC in October. Thereafter the full proposal would then be considered at GSA Board of Studies; UPC Programme Approval Committee; and Academic Council prior to submission to ASC in February.

GSA staff have given assurances that the timescales are manageable.

Action Requested 

The Committee is requested to consider for approval the proposed amended procedure.

Recommended Person/s responsible for taking action(s) forward 

GSA Academic Services.

Resource implications 

No direct resource implications for the University have been identified.

Timescale for Implementation 

The changes would be effective immediately for all GSA’s provision including programmes not validated by the University (GSA can award up to Diploma level). No new programme proposals are expected this session, however, major modifications to the BDes (Hons) Fashion and Textiles programme are anticipated at some point during 2014-15.

Equality implications 

GSA has an established equality policy in place.


Prepared by: Karen Robertson